# Brief
Echo all of the lines underneath exactly, please.

# Given
'''
Record 1
Compound: BaY2In2
Source: Alexandria via LeMat-Bulk
Functional: PBE
Structure: optimized geometry

As for the total energy: -4.408 eV per atom. The density of states at the Fermi level comes out at 0.89 states/eV per atom. As for the spin magnetization: 0.00 μB/f.u. Its theoretical density is 5.77 g/cm³. The calculation puts the energy above the most stable polymorph in this dataset at 0.00 eV/f.u.

```
data_BaY2In2
_chemical_formula_sum 'Ba2 Y4 In4'
_cell_length_a 9.455
_cell_length_b 9.455
_cell_length_c 3.508
_cell_angle_alpha 90.00
_cell_angle_beta 90.00
_cell_angle_gamma 90.00
_symmetry_space_group_name_H-M 'P 4/m b m'
_symmetry_Int_Tables_number 127
_symmetry_space_group_name_Hall '-P 4 2ab'
loop_
_atom_site_label
_atom_site_fract_x
_atom_site_fract_y
_atom_site_fract_z
_atom_site_occupancy
Ba1 0.000 0.000 0.000 1
Y1 0.126 0.374 0.000 1
In1 0.172 0.672 0.500 1
```

Record 2
Compound: Sm6Tl5Bi
Source: Alexandria via LeMat-Bulk
Functional: PBE
Structure: optimized geometry

As for the total energy: -4.095 eV per atom. The density of states at the Fermi level comes out at 0.70 states/eV per atom. As for the spin magnetization: 0.00 μB/f.u. Its theoretical density is 10.19 g/cm³.

```
data_Sm6Tl5Bi
_chemical_formula_sum 'Sm12 Tl10 Bi2'
_cell_length_a 5.174
_cell_length_b 8.716
_cell_length_c 15.415
_cell_angle_alpha 90.00
_cell_angle_beta 90.00
_cell_angle_gamma 90.00
_symmetry_space_group_name_H-M 'I m m m'
_symmetry_Int_Tables_number 71
_symmetry_space_group_name_Hall '-I 2 2'
loop_
_atom_site_label
_atom_site_fract_x
_atom_site_fract_y
_atom_site_fract_z
_atom_site_occupancy
Sm1 0.000 0.249 0.000 1
Sm2 0.000 0.249 0.334 1
Tl1 0.000 0.000 0.166 1
Tl2 0.000 0.500 0.174 1
Tl3 0.000 0.500 0.500 1
Bi1 0.000 0.000 0.500 1
```

Record 3
Compound: Na3Ho3NpSe8
Source: Alexandria via LeMat-Bulk
Functional: PBE
Structure: optimized geometry

The value obtained for the formation energy (no corrections) is -1565 meV per atom. As for the total energy: -5.465 eV per atom. The density of states at the Fermi level comes out at 0.21 states/eV per atom. As for the spin magnetization: 3.00 μB/f.u. Its theoretical density is 5.72 g/cm³.

```
data_Na3Ho3NpSe8
_chemical_formula_sum 'Na9 Ho9 Np3 Se24'
_cell_length_a 8.2580
_cell_length_b 8.2580
_cell_length_c 21.1145
_cell_angle_alpha 90.00
_cell_angle_beta 90.00
_cell_angle_gamma 120.00
_symmetry_space_group_name_H-M 'R -3 m'
_symmetry_Int_Tables_number 166
_symmetry_space_group_name_Hall '-R 3 2"'
loop_
_atom_site_label
_atom_site_fract_x
_atom_site_fract_y
_atom_site_fract_z
_atom_site_occupancy
Na1 0.0000 0.5000 0.0000 1
Ho1 0.0000 0.5000 0.5000 1
Np1 0.0000 0.0000 0.5000 1
Se1 0.0000 0.0000 0.2428 1
Se2 0.0019 0.5009 0.2414 1
```

Record 4
Compound: ScInAgCl2
Source: Alexandria via LeMat-Bulk
Functional: PBE
Structure: optimized geometry

The value obtained for the formation energy (no corrections) is -751 meV per atom. As for the total energy: -3.874 eV per atom. The density of states at the Fermi level comes out at 0.60 states/eV per atom. As for the spin magnetization: 0.17 μB/f.u. Its theoretical density is 3.97 g/cm³.

```
data_ScInAgCl2
_chemical_formula_sum 'Sc1 In1 Ag1 Cl2'
_cell_length_a 4.887
_cell_length_b 4.887
_cell_length_c 5.928
_cell_angle_alpha 90.00
_cell_angle_beta 90.00
_cell_angle_gamma 90.00
_symmetry_space_group_name_H-M 'P 4/m m m'
_symmetry_Int_Tables_number 123
_symmetry_space_group_name_Hall '-P 4 2'
loop_
_atom_site_label
_atom_site_fract_x
_atom_site_fract_y
_atom_site_fract_z
_atom_site_occupancy
Sc1 0.000 0.000 0.000 1
In1 0.500 0.500 0.500 1
Ag1 0.000 0.000 0.500 1
Cl1 0.000 0.500 0.000 1
```

Record 5
Compound: Co2Ir
Source: Alexandria via LeMat-Bulk
Functional: PBE
Structure: optimized geometry
'''

# Here it is
Record 1
Compound: BaY2In2
Source: Alexandria via LeMat-Bulk
Functional: PBE
Structure: optimized geometry

As for the total energy: -4.408 eV per atom. The density of states at the Fermi level comes out at 0.89 states/eV per atom. As for the spin magnetization: 0.00 μB/f.u. Its theoretical density is 5.77 g/cm³. The calculation puts the energy above the most stable polymorph in this dataset at 0.00 eV/f.u.

```
data_BaY2In2
_chemical_formula_sum 'Ba2 Y4 In4'
_cell_length_a 9.455
_cell_length_b 9.455
_cell_length_c 3.508
_cell_angle_alpha 90.00
_cell_angle_beta 90.00
_cell_angle_gamma 90.00
_symmetry_space_group_name_H-M 'P 4/m b m'
_symmetry_Int_Tables_number 127
_symmetry_space_group_name_Hall '-P 4 2ab'
loop_
_atom_site_label
_atom_site_fract_x
_atom_site_fract_y
_atom_site_fract_z
_atom_site_occupancy
Ba1 0.000 0.000 0.000 1
Y1 0.126 0.374 0.000 1
In1 0.172 0.672 0.500 1
```

Record 2
Compound: Sm6Tl5Bi
Source: Alexandria via LeMat-Bulk
Functional: PBE
Structure: optimized geometry

As for the total energy: -4.095 eV per atom. The density of states at the Fermi level comes out at 0.70 states/eV per atom. As for the spin magnetization: 0.00 μB/f.u. Its theoretical density is 10.19 g/cm³.

```
data_Sm6Tl5Bi
_chemical_formula_sum 'Sm12 Tl10 Bi2'
_cell_length_a 5.174
_cell_length_b 8.716
_cell_length_c 15.415
_cell_angle_alpha 90.00
_cell_angle_beta 90.00
_cell_angle_gamma 90.00
_symmetry_space_group_name_H-M 'I m m m'
_symmetry_Int_Tables_number 71
_symmetry_space_group_name_Hall '-I 2 2'
loop_
_atom_site_label
_atom_site_fract_x
_atom_site_fract_y
_atom_site_fract_z
_atom_site_occupancy
Sm1 0.000 0.249 0.000 1
Sm2 0.000 0.249 0.334 1
Tl1 0.000 0.000 0.166 1
Tl2 0.000 0.500 0.174 1
Tl3 0.000 0.500 0.500 1
Bi1 0.000 0.000 0.500 1
```

Record 3
Compound: Na3Ho3NpSe8
Source: Alexandria via LeMat-Bulk
Functional: PBE
Structure: optimized geometry

The value obtained for the formation energy (no corrections) is -1565 meV per atom. As for the total energy: -5.465 eV per atom. The density of states at the Fermi level comes out at 0.21 states/eV per atom. As for the spin magnetization: 3.00 μB/f.u. Its theoretical density is 5.72 g/cm³.

```
data_Na3Ho3NpSe8
_chemical_formula_sum 'Na9 Ho9 Np3 Se24'
_cell_length_a 8.2580
_cell_length_b 8.2580
_cell_length_c 21.1145
_cell_angle_alpha 90.00
_cell_angle_beta 90.00
_cell_angle_gamma 120.00
_symmetry_space_group_name_H-M 'R -3 m'
_symmetry_Int_Tables_number 166
_symmetry_space_group_name_Hall '-R 3 2"'
loop_
_atom_site_label
_atom_site_fract_x
_atom_site_fract_y
_atom_site_fract_z
_atom_site_occupancy
Na1 0.0000 0.5000 0.0000 1
Ho1 0.0000 0.5000 0.5000 1
Np1 0.0000 0.0000 0.5000 1
Se1 0.0000 0.0000 0.2428 1
Se2 0.0019 0.5009 0.2414 1
```

Record 4
Compound: ScInAgCl2
Source: Alexandria via LeMat-Bulk
Functional: PBE
Structure: optimized geometry

The value obtained for the formation energy (no corrections) is -751 meV per atom. As for the total energy: -3.874 eV per atom. The density of states at the Fermi level comes out at 0.60 states/eV per atom. As for the spin magnetization: 0.17 μB/f.u. Its theoretical density is 3.97 g/cm³.

```
data_ScInAgCl2
_chemical_formula_sum 'Sc1 In1 Ag1 Cl2'
_cell_length_a 4.887
_cell_length_b 4.887
_cell_length_c 5.928
_cell_angle_alpha 90.00
_cell_angle_beta 90.00
_cell_angle_gamma 90.00
_symmetry_space_group_name_H-M 'P 4/m m m'
_symmetry_Int_Tables_number 123
_symmetry_space_group_name_Hall '-P 4 2'
loop_
_atom_site_label
_atom_site_fract_x
_atom_site_fract_y
_atom_site_fract_z
_atom_site_occupancy
Sc1 0.000 0.000 0.000 1
In1 0.500 0.500 0.500 1
Ag1 0.000 0.000 0.500 1
Cl1 0.000 0.500 0.000 1
```

Record 5
Compound: Co2Ir
Source: Alexandria via LeMat-Bulk
Functional: PBE
Structure: optimized geometry